There are levels of ascension, light body elevations, consciousness, etc. Energy work can help clear, release, raise vibrations, etc. BUT the process that you must endure, like every one of us who came/comes through it, is the duality of your own mind. YOUR soul actually chose all of these experiences for you to resolve, heal, clear, release, etc. No one can do this for you. There is no quick switch to flip.
There are those of us that can teach you how to release with ease, change perceptions and "see" things the logical mind can't comprehend, but ultimately the strength of your ego/rational mind over your heart will be the determining factor in how you "suffer" (as suffering is perceived). If you can stay conscious, you can use the tools we teach. If you can't, or choose not to, you will endure the suffering until you decide to get conscious again. This is where free-will comes in.
I say this because, it is really important right now for us all to get busy. Play-time is over. Those who have avoided or chosen not to deal in the past or even newly awakening are going to start grasping for every "thing" they can find to get through this quicker.
## The text is interrupted by data records
<<<
1.
Computed, not measured: a geometry-optimized K2RbScCl6 structure at the PBE level of DFT.

Cell lengths 7.893, 7.893, 7.893 Å; angles 60.00, 60.00, 60.00 degrees
Element x y z (fractional)
K 0.250 0.250 0.250
K 0.750 0.750 0.750
Rb 0.000 0.000 0.000
Sc 0.500 0.500 0.500
Cl 0.277 0.277 0.723
Cl 0.277 0.723 0.277
Cl 0.277 0.723 0.723
Cl 0.723 0.277 0.277
Cl 0.723 0.277 0.723
Cl 0.723 0.723 0.277

Calculated values
* calculated formation energy: -2264 kJ/mol of formula units
* symmetry: No. 225
* crystal system: cubic
* magnetic moment: 0.0 μB/f.u.
* energy with MP2020 corrections: -0.324 Ry/atom

2.
Computed, not measured: a geometry-optimized Na4GaSi2GePO12 structure at the PBE level of DFT.

Cell lengths 8.847, 8.847, 21.662 Å; angles 90.73, 89.27, 120.01 degrees
Element x y z (fractional)
Na 0.636 0.005 0.250
Na 0.371 0.368 0.247
Na 0.992 0.625 0.250
Na 0.632 0.629 0.747
Na 0.995 0.364 0.750
Na 0.375 0.008 0.750
Na 0.303 0.338 0.584
Na 0.038 0.701 0.580
Na 0.658 0.958 0.584
Na 0.299 0.962 0.080
Na 0.662 0.697 0.084
Na 0.042 0.342 0.084
Na 0.969 0.671 0.917
Na 0.705 0.034 0.913
Na 0.325 0.292 0.917
Na 0.966 0.295 0.413
Na 0.329 0.031 0.417
Na 0.708 0.675 0.417
Na 0.997 0.995 0.498
Na 0.005 0.003 0.998
Na 0.663 0.328 0.831
Na 0.672 0.337 0.331
Na 0.330 0.662 0.165
Na 0.338 0.670 0.665
Ga 0.990 0.993 0.352
Ga 0.007 0.010 0.852
Ga 0.656 0.326 0.685
Ga 0.674 0.344 0.185
Ga 0.323 0.660 0.018
Ga 0.340 0.677 0.518
Si 0.708 0.711 0.251
Si 0.001 0.289 0.251
Si 0.289 0.292 0.751
Si 0.711 0.999 0.751
Si 0.375 0.044 0.584
Si 0.668 0.623 0.585
Si 0.956 0.625 0.084
Si 0.377 0.332 0.085
Si 0.041 0.378 0.917
Si 0.335 0.956 0.918
Si 0.622 0.959 0.417
Si 0.044 0.665 0.418
Ge 0.998 0.998 0.648
Ge 0.002 0.002 0.148
Ge 0.665 0.331 0.981
Ge 0.669 0.335 0.481
Ge 0.332 0.664 0.315
Ge 0.336 0.668 0.815
P 0.287 0.997 0.251
P 0.003 0.713 0.751
P 0.953 0.331 0.584
P 0.669 0.047 0.084
P 0.620 0.664 0.917
P 0.336 0.380 0.417
O 0.208 0.034 0.308
O 0.830 0.787 0.311
O 0.968 0.172 0.312
O 0.213 0.170 0.811
O 0.966 0.792 0.808
O 0.828 0.032 0.812
O 0.796 0.955 0.689
O 0.159 0.205 0.690
O 0.040 0.831 0.692
O 0.795 0.841 0.190
O 0.045 0.204 0.189
O 0.169 0.960 0.192
O 0.875 0.367 0.642
O 0.497 0.121 0.644
O 0.634 0.505 0.645
O 0.879 0.503 0.144
O 0.633 0.125 0.142
O 0.495 0.366 0.145
O 0.462 0.289 0.023
O 0.826 0.538 0.023
O 0.706 0.164 0.025
O 0.462 0.174 0.523
O 0.711 0.538 0.523
O 0.836 0.294 0.525
O 0.541 0.701 0.975
O 0.164 0.454 0.977
O 0.301 0.838 0.978
O 0.546 0.836 0.477
O 0.299 0.459 0.475
O 0.162 0.699 0.478
O 0.129 0.622 0.356
O 0.493 0.871 0.356
O 0.373 0.497 0.359
O 0.129 0.507 0.856
O 0.378 0.871 0.856
O 0.503 0.627 0.859
O 0.026 0.840 0.412
O 0.819 0.986 0.412
O 0.176 0.195 0.411
O 0.014 0.181 0.912
O 0.160 0.974 0.912
O 0.805 0.824 0.911
O 0.967 0.161 0.587
O 0.180 0.030 0.590
O 0.848 0.819 0.589
O 0.970 0.820 0.090
O 0.839 0.033 0.087
O 0.181 0.152 0.089
O 0.693 0.173 0.745
O 0.485 0.319 0.746
O 0.842 0.528 0.744
O 0.681 0.515 0.246
O 0.827 0.307 0.245
>>>
## The data records stop here
WHEN you choose your own SOUL, your heart over anything else... when YOU decide that this is important to you, SO important that it comes first, then your spirit/soul will treat you with the same regard. It has to be YOUR priority. If it is a hindsight, and everything else is more important, then if or when it is beyond YOUR time to experience it, it will be "forced" upon you in your current reality. Those who "listen" to their souls/spirits have more of a choice in how this happens. There are signs, signals to give you hints. If you ignore them, because you choose not to listen (fear), because it is too uncomfortable, then that is your choice.
We, that have come before you, are here to help. But we can only help as much as the seeker is willing to open up to receive. We are not here to change your mind or tell you how to do anything. We are here to light a way. It is up to you to step forward and follow the light.
There is no judgement in this post. There are no expectations. This is from my soul to yours, laying a path. Everything I do with the highest vibration of love and light. Part of that is standing up and speaking truth. Truth can be, and always should be, spoken with love. ♥
From my soul to yours, choose to be conscious & choose to be aware, in EVERY moment. It is a gift that you will thank yourself for one day. ♥